UINavigationController with in UITabBarNavigationController doesn't load the table data - uitableview

Im extremely new to IOS.
I have a UITabBarNavigationController inside it I have an UINavigationController
I have a problem, The UINavigationController Doesn't load the table values (as in i have put all the methods and stuff for the datasource and mapped it in IB but it still doesn't seem to work)
For code click here
PS : When you run the project it will ask you for a username and a password please enter user1 for both.
Thanks for your help.

There's really a lot of stuff I would notify you about, man. But to be closer to your very question (I explored only the first tab, the others should be resolved in a similar way):
You have warnings in the interface builder. Maybe in the code in some cases you can ignore them, but not in IB. I corrected it and (not just after that) it worked (leave your email in comment if you want me send it to you). But I would advise you to spend 20 mins on watching
this video.
The code which initializes your tableView works before the user is even logged in (so that it's being initialized with nothing), therefore, even if all the rest of code is working, you will see the items in your tableView only after you reinitialize your tableView (e.g. change the tab and go back to your first one "Appointment" tab).
In the class AppointmentTable move your code from viewDidLoad to viewWillAppear or viewDidAppear (the last ones work every time you show your tab on the screen).
P.S. Leave your email in comment so I could send you corrected (not fully of course, but only in the places I pointed out) version of your project.

-- Attached: calculated crystals --
~~~
Record 1
The following is a PBE-GGA calculation of crystalline LiY3In4 at its relaxed geometry, from the Alexandria database.

Values from the calculation:
Density of states at the Fermi level = 3.1 states/eV per cell

Cell: 3.5018 3.5018 16.1615 Å, 90.00 90.00 90.00°
Last column: nearest neighbours and their distance in Å.
Element x y z (fractional)
Li: 0.0000 0.0000 0.0000  8 In 2.93
Y: 0.0000 0.0000 0.2314  8 In 3.29-3.30, 4 Y 3.50
Y: 0.0000 0.0000 0.5000  8 In 3.30, 4 Y 3.50
Y: 0.0000 0.0000 0.7686  8 In 3.29-3.30, 4 Y 3.50
In: 0.5000 0.5000 0.0966  4 Li 2.93, 1 In 3.12
In: 0.5000 0.5000 0.3651  8 Y 3.29-3.30, 4 In 3.50
In: 0.5000 0.5000 0.6349  8 Y 3.29-3.30, 4 In 3.50
In: 0.5000 0.5000 0.9034  4 Li 2.93, 1 In 3.12

Record 2
The following is a PBE-GGA calculation of crystalline NaInPd3 at its relaxed geometry, from the Alexandria database.

Values from the calculation:
Energy above the lowest structure with this stoichiometry = 893 meV/atom
Density of states at the Fermi level = 0.3 states/eV per cell

Cell: 4.6434 4.6434 4.6434 Å, 90.00 90.00 90.00°
Last column: nearest neighbours and their distance in Å.
Element x y z (fractional)
Na: 0.0000 0.0000 0.0000  6 Pd 2.32
In: 0.5000 0.5000 0.5000  12 Pd 3.28
Pd: 0.0000 0.0000 0.5000  2 Na 2.32
Pd: 0.0000 0.5000 0.0000  2 Na 2.32
Pd: 0.5000 0.0000 0.0000  2 Na 2.32

Record 3
The following is a PBE-GGA calculation of crystalline La2ZnSe4 at its relaxed geometry, from the Alexandria database.

Values from the calculation:
Formation energy (no corrections) = -1577 meV/atom

Cell: 6.8684 6.9815 8.2996 Å, 90.00 107.72 90.00°
Last column: nearest neighbours and their distance in Å.
Element x y z (fractional)
La: 0.2263 0.2500 0.0575  6 Se 3.00-3.11
La: 0.2397 0.2500 0.5599  6 Se 2.95-3.12
La: 0.7603 0.7500 0.4401  6 Se 2.95-3.12
La: 0.7737 0.7500 0.9425  6 Se 3.00-3.11
Zn: 0.2426 0.7500 0.8092  4 Se 2.44-2.46
Zn: 0.7574 0.2500 0.1908  4 Se 2.44-2.46
Se: 0.0105 0.5103 0.2557  1 Zn 2.46
Se: 0.0105 0.9897 0.2557  1 Zn 2.46
Se: 0.4409 0.7500 0.6108  1 Zn 2.44
Se: 0.4420 0.7500 0.1082  1 Zn 2.44
Se: 0.5580 0.2500 0.8918  1 Zn 2.44
Se: 0.5591 0.2500 0.3892  1 Zn 2.44
Se: 0.9895 0.0103 0.7443  1 Zn 2.46
Se: 0.9895 0.4897 0.7443  1 Zn 2.46

Record 4
The following is a PBE-GGA calculation of crystalline Zr2SiBr at its relaxed geometry, from the Alexandria database.

Values from the calculation:
Formation energy (no corrections) = -460 meV/atom
Energy above the lowest structure with this stoichiometry = 182 meV/atom
Density of states at the Fermi level = 2.6 states/eV per cell

Cell: 3.3009 3.3009 7.5651 Å, 90.00 90.00 99.60°
Last column: nearest neighbours and their distance in Å.
Element x y z (fractional)
Zr: 0.0000 0.0000 0.2150  4 Si 2.68-3.00
Zr: 0.0000 0.0000 0.7850  4 Si 2.68-3.00
Si: 0.5000 0.5000 0.0000  8 Zr 2.68-3.00
Br: 0.5000 0.5000 0.5000  8 Zr 3.03-3.32, 4 Br 3.30

Record 5
The following is a PBE-GGA calculation of crystalline BaTc2P at its relaxed geometry, from the Alexandria database.
~~~


Unable to identify operative event or method in XCode

I need help identifying what piece of code is causing a bug in my app but having a hard time working it out.
So, my app is designed to display a detail screen for any row that is selected in the master table.
I have recently updated my app to use an NSFetchResultsController. The results are what I would expect except for one odd behaviour.
The new behaviour happens when I select a row in the master table, prior to the segue to the detail screen.
The table populates with all the data I would expect. But, on clicking any row in the table (other than the first one), each field in the row is set to the default values that appear in the storyboard.
The segue to the detail screen displays the expected details and the underlying database table is also correct.
I have a segue outlet action on the cell but no other method.
Despite placing breakpoints at various points in the code, I cannot identify which code section is triggering the setting of the row to the storyboard defaults.
I'd appreciate any steer that would help me work this out.
I posted my question as relative newbie to xCode. I've now discovered the profiling tools built into xCode and have been able to identify what's happening in my code with more confidence.

Strange entanglement between two UITableViews in XCode5

It’s as if the storyboard is treating the Tables as pointers to a single instance, simply because I copied and pasted through the storyboard. I am recording this here in part as a reminder to myself (I am an avid user of Stack Overflow) and as a warning to others. And of course, I want to know if there is a simple way of truly disentangling the two without having to recreate one of the ViewControllers from scratch. please, read on for explanation.
First I created CatUIViewController using the storyboard. I completed the whole thing along with .h and .m files. Then, needing a similar ViewController for Dogs, I dragged and dropped an empty ViewController onto the storyboard from Object Library, and then I copied and pasted the entire UITableView from CatUIViewController to DogUIViewController. Then of course I did the same with the .h and .m files. Really the only difference between CatUIViewController and DogUIViewController is that Cat has two buttons in it’s header while dog has an UIImageView, along with other data that both headers share.
Naturally, Xcode does all the connections for me the moment I pasted into the Dog equivalents. It wired all the IBOutlets and IBActions automatically: a nice feature of Xcode.
Both table views have a background image. And navigation from Cat to Dog is possible because my app is using UITabBar — no other linking exists between the two. Furthermore, while Cat leads its Tab, Dog is way down the line in its Tab’s NavigationController.
The problem is this: If I am in DogUIViewController and click the tab to transition to CatUIViewController, after the transition the background of DogUIViewController shows up as the background of CatUIViewController. In fact, if I visit DogUIViewController and then navigate to any other page so ever… the second I click on the Tab for CatUIViewController, mysteriously it first shows the data for DogUIViewController before switching to the correct data about 1 second later. Another strangeness is that the converse is equally true.
I have been investigating the code to see what might be the cause and so far I have found nothing. It’s as if the entanglement is happening at a layer in Xcode that is not exposed to me: I review the Connections Inspector, the .h and .m files and I cannot find anything so far. I am hoping it is a simple oversight on my part so I keep digging. But just in case it is not and someone else has resolved something similar, I am here asking.
Whereas you copied and pasted not only the UITableView but also both the .h and the .m file, the possibility for errors abounds. But of particular interest to me is that you mention differences to exist exclusively in the header files. This to me means the likely cause of errors is your data source. Wherever you are fetching the data, it takes a split second so that the new data is delayed just enough for the old data to show up. So I am ending my response with a question: How are you fetching your data? Are you caching the data? Are you cleaning property? For example, if you are using notification for the server to update your view controllers, viewDidUnload is deprecated so I wouldn't use that to unregister notificatoins. In whatever the case, you at your data source.

UIScrollView multiple page confusion

So I have an existing app I'm working on for a friend...
and let's say I double click on animals_real and I get this screen...
Basically all I want to do is create a back button back to the home page on the animals_real page and all the other ones like it(body_parts_real, cleaning_real, etc.) but for whatever reason I can't find the xib file or the code for it and I'm not entirely sure what file it would be in. Also, since I am fairly new I'm not entirely sure how to implement the back button. Any help is greatly appreciated.
----------------------------------EDIT 1------------------------------------------
The main page works under ViewControllerForIphone.xib and the settings page is under SettingViewControllerIphone.xib. This led me to believe that the other pages would be under the SubPECSViewController_iPhone.xib. However, if I go in and edit that it doesn't change anything when I run the simulator. So, basically I have been trying to understand UIScrollView better and how it works but I am kind of just stuck.
Welcome to iOS. Other commenters will point out that you should start here at the UICollectionViewDelegate Reference (which you can also get to through Xcode (shift+command+0)
Basically, a uicollection view populates itself based on some array of data.Look here to see what's going on
(void)insertItemsAtIndexPaths:(NSArray *)indexPaths
When you tap on animals, this method is called:
– collectionView:didSelectItemAtIndexPath:
Some logic happens here, and I'm presuming you load the collectionview from yet another array.
To solve your original problem of a "back button," you might simply want to reload the viewcontroller's original datasource or possibly "pop" back up the navigation stack. Again, without seeing at least part of the code, there's very little we can do except speculate :)

The text is interrupted by calculated crystals
********
[1]
Below is crystalline Pr4IrOsCl2 at its relaxed geometry, with properties calculated at the PBE level.

abc: 4.139 7.178 7.976
angles: 107.35 90.00 90.00
Fractional coordinates of all 8 atoms:
Pr 0.500 0.240 0.204
Pr 0.500 0.760 0.796
Pr 0.000 0.268 0.793
Pr 0.000 0.732 0.207
Ir 0.000 0.000 0.000
Os 0.500 0.500 0.000
Cl 0.500 0.000 0.500
Cl 0.000 0.500 0.500

Results
Calculated volume, A^3/atom: 28.274
Total energy, eV per atom: -6.319
Crystal system: monoclinic


[2]
Below is crystalline LiHg2Bi2 at its relaxed geometry, with properties calculated at the PBE level.

abc: 3.515 3.515 10.718
angles: 99.44 99.44 90.00
Fractional coordinates of all 5 atoms:
Li 0.000 0.000 0.000
Hg 0.579 0.579 0.159
Hg 0.421 0.421 0.841
Bi 0.808 0.808 0.616
Bi 0.192 0.192 0.384

Results
Calculated volume, A^3/atom: 25.756
Energy relative to the elements, eV per atom: -0.09
Crystal system: tetragonal
********

When I transfer from my master view to my detail view after adding a new item, my detail view is empty

I'm making a sample app to learn iOS dev, and I have the app create default items to populate the tableview originally, and you can add further ones as well.
If I tap on the default ones (well, there's only one) and segue to the detail view it shows all the details (Name, Location and Date) as intended. But if I add a new one, it comes up with those fields being Empty.
I can't figure out why. I have seemingly all the view refreshing methods set, and it should be setting the detail view's data object which then feeds the labels.
Could anyone help? I'd supply further code if requested, I just don't know what to supply now as I'm not sure exactly where the problem is. It's a rather simple app, though.
Project available here: http://cl.ly/3N0o272M3y1K
Ok this took a bit longer than planned - but it is a good way to learn.
I have attached the project in a zip file.
The code is a bit different then what you posted, but if you compare them side by side, you will see how they are planned and build differently.
It shows the Segue working within the Storyboard.
There where 2 big problems with your project outside of your misuses of the methods.
You need something like Core Data if you want your data to be persistant. In the example I have given you I have used Plist, this will do the trick, but is not persistant in this case.
Also your detailViewController had no labels for the text to appear, so you will need to look into Custom Cells for that - to match your design.
Good Luck and I hope this is useful:-)
Updated Project

Relationships between File Owner, App Delegate, View Controller, etc

Based on the little that i know, I tried to put together the relationships usually seen as part of MainWindow xib.
How far off am i? Kindly correct and advise.
Almost. View controllers inherit from uiwindows in the class system. And you have to think of it more like a pie chart. Everything is equally important, some are just more equal than others. On the top of the pie chart is the app delegate. It's the master of the app. It can reach into a view or Controller and pull whatever it wants. Now on the left side is a view. It's the dumb little sycophant of the whole thing. It can only recieved instructions from itself, or from the app delegate, then act on those instructions. It should never pull from the app delegate (not never, but most always) and DEFINITELY should never screw around with a controller. Finally, controllers. They are the brains of the whole app. They can't show information on screen like a view, but they can think pretty well. Controllers give the orders in your app. They shouldn't really pull from the app delegate, but they can (again, rarely). There's an excellent lecture from Standford or MIT (I'm forgetting now) in iTunes U about it. Look it up.
